### Input
'''
(1)
DFT (PBE) results for crystalline CaSn4S9 at its relaxed geometry.

Unit cell a=6.357 b=14.382 c=14.382 alpha=120.00 beta=90.00 gamma=90.00
Fractional positions:
Ca1 0.000 0.672 0.672
Ca2 0.000 0.328 0.000
Ca3 0.000 0.000 0.328
Sn1 0.000 0.000 0.000
Sn2 0.124 0.333 0.667
Sn3 0.876 0.667 0.333
Sn4 0.500 0.182 0.182
Sn5 0.500 0.818 0.000
Sn6 0.500 0.000 0.818
Sn7 0.390 0.851 0.505
Sn8 0.390 0.495 0.346
Sn9 0.390 0.654 0.149
Sn10 0.610 0.149 0.654
Sn11 0.610 0.346 0.495
Sn12 0.610 0.505 0.851
S1 0.500 0.518 0.518
S2 0.500 0.482 0.000
S3 0.500 0.000 0.482
S4 0.114 0.827 0.376
S5 0.114 0.624 0.451
S6 0.114 0.549 0.173
S7 0.886 0.173 0.549
S8 0.886 0.451 0.624
S9 0.886 0.376 0.827
S10 0.760 0.882 0.836
S11 0.760 0.164 0.045
S12 0.760 0.955 0.118
S13 0.240 0.118 0.955
S14 0.240 0.045 0.164
S15 0.240 0.836 0.882
S16 0.233 0.901 0.678
S17 0.233 0.322 0.223
S18 0.233 0.777 0.099
S19 0.767 0.099 0.777
S20 0.767 0.223 0.322
S21 0.767 0.678 0.901
S22 0.668 0.738 0.505
S23 0.668 0.495 0.232
S24 0.668 0.768 0.262
S25 0.332 0.262 0.768
S26 0.332 0.232 0.495
S27 0.332 0.505 0.738

* space-group type: P321
* E above lowest polymorph: 43.4 meV per atom
* calculated formation energy: -11.1 eV/f.u.

(2)
DFT (PBE) results for crystalline Sr2NdSbO6 at its relaxed geometry.

Unit cell a=8.503 b=8.503 c=8.503 alpha=90.00 beta=90.00 gamma=90.00
Fractional positions:
Sr1 0.500 0.500 0.500
Sr2 0.000 0.000 0.000
Sr3 0.000 0.000 0.500
Sr4 0.000 0.500 0.000
Sr5 0.500 0.000 0.000
Sr6 0.500 0.500 0.000
Sr7 0.500 0.000 0.500
Sr8 0.000 0.500 0.500
Nd1 0.750 0.750 0.750
Nd2 0.750 0.250 0.250
Nd3 0.250 0.750 0.250
Nd4 0.250 0.250 0.750
Sb1 0.250 0.250 0.250
Sb2 0.250 0.750 0.750
Sb3 0.750 0.250 0.750
Sb4 0.750 0.750 0.250
O1 0.216 0.291 0.481
O2 0.216 0.709 0.519
O3 0.784 0.291 0.519
O4 0.784 0.709 0.481
O5 0.291 0.481 0.216
O6 0.709 0.519 0.216
O7 0.291 0.519 0.784
O8 0.709 0.481 0.784
O9 0.481 0.216 0.291
O10 0.519 0.216 0.709
O11 0.519 0.784 0.291
O12 0.481 0.784 0.709
O13 0.284 0.209 0.019
O14 0.284 0.791 0.981
O15 0.716 0.209 0.981
O16 0.716 0.791 0.019
O17 0.209 0.019 0.284
O18 0.791 0.981 0.284
O19 0.209 0.981 0.716
O20 0.791 0.019 0.716
O21 0.019 0.284 0.209
O22 0.981 0.284 0.791
O23 0.981 0.716 0.209
O24 0.019 0.716 0.791

* space-group type: Pn-3
* calculated formation energy: -30.0 eV/f.u.

(3)
DFT (PBE) results for crystalline SiO2 at its relaxed geometry.

Unit cell a=8.195 b=8.195 c=14.169 alpha=90.00 beta=90.00 gamma=101.97
Fractional positions:
Si1 0.187 0.589 0.317
Si2 0.589 0.187 0.683
Si3 0.813 0.411 0.317
Si4 0.411 0.813 0.683
Si5 0.313 0.909 0.185
Si6 0.909 0.313 0.815
Si7 0.687 0.091 0.185
Si8 0.091 0.687 0.815
Si9 0.337 0.663 0.500
Si10 0.663 0.337 0.500
Si11 0.500 0.500 0.364
Si12 0.500 0.500 0.636
Si13 0.000 0.000 0.139
Si14 0.000 0.000 0.861
Si15 0.161 0.839 0.000
Si16 0.839 0.161 0.000
O1 0.000 0.500 0.284
O2 0.500 0.000 0.716
O3 0.253 0.748 0.250
O4 0.748 0.253 0.750
O5 0.747 0.252 0.250
O6 0.252 0.747 0.750
O7 0.177 0.643 0.429
O8 0.643 0.177 0.571
O9 0.823 0.357 0.429
O10 0.357 0.823 0.571
O11 0.323 0.467 0.306
O12 0.467 0.323 0.694
O13 0.677 0.533 0.306
O14 0.533 0.677 0.694
O15 0.320 0.859 0.072
O16 0.859 0.320 0.928
O17 0.680 0.141 0.072
O18 0.141 0.680 0.928
O19 0.175 0.028 0.199
O20 0.028 0.175 0.801
O21 0.825 0.972 0.199
O22 0.972 0.825 0.801
O23 0.499 0.668 0.429
O24 0.668 0.499 0.571
O25 0.501 0.332 0.429
O26 0.332 0.501 0.571
O27 0.500 0.000 0.217
O28 0.000 0.500 0.783
O29 0.000 0.166 0.072
O30 0.166 0.000 0.928
O31 0.000 0.834 0.072
O32 0.834 0.000 0.928

* space-group type: C222
* calculated formation energy: -9.5 eV/f.u.

(4)
DFT (PBE) results for crystalline Y2CN2O2 at its relaxed geometry.

Unit cell a=3.745 b=3.745 c=8.228 alpha=90.00 beta=90.00 gamma=120.00
Fractional positions:
Y1 0.333 0.667 0.678
Y2 0.667 0.333 0.322
C1 0.000 0.000 0.000
N1 0.000 0.000 0.150
N2 0.000 0.000 0.850
O1 0.333 0.667 0.396
O2 0.667 0.333 0.604

* space-group type: P-3m1
* calculated formation energy: -16.5 eV/f.u.

(5)
'''
### Job
Your job: give back all of the calculation results above without additions.
### Here it is
(1)
DFT (PBE) results for crystalline CaSn4S9 at its relaxed geometry.

Unit cell a=6.357 b=14.382 c=14.382 alpha=120.00 beta=90.00 gamma=90.00
Fractional positions:
Ca1 0.000 0.672 0.672
Ca2 0.000 0.328 0.000
Ca3 0.000 0.000 0.328
Sn1 0.000 0.000 0.000
Sn2 0.124 0.333 0.667
Sn3 0.876 0.667 0.333
Sn4 0.500 0.182 0.182
Sn5 0.500 0.818 0.000
Sn6 0.500 0.000 0.818
Sn7 0.390 0.851 0.505
Sn8 0.390 0.495 0.346
Sn9 0.390 0.654 0.149
Sn10 0.610 0.149 0.654
Sn11 0.610 0.346 0.495
Sn12 0.610 0.505 0.851
S1 0.500 0.518 0.518
S2 0.500 0.482 0.000
S3 0.500 0.000 0.482
S4 0.114 0.827 0.376
S5 0.114 0.624 0.451
S6 0.114 0.549 0.173
S7 0.886 0.173 0.549
S8 0.886 0.451 0.624
S9 0.886 0.376 0.827
S10 0.760 0.882 0.836
S11 0.760 0.164 0.045
S12 0.760 0.955 0.118
S13 0.240 0.118 0.955
S14 0.240 0.045 0.164
S15 0.240 0.836 0.882
S16 0.233 0.901 0.678
S17 0.233 0.322 0.223
S18 0.233 0.777 0.099
S19 0.767 0.099 0.777
S20 0.767 0.223 0.322
S21 0.767 0.678 0.901
S22 0.668 0.738 0.505
S23 0.668 0.495 0.232
S24 0.668 0.768 0.262
S25 0.332 0.262 0.768
S26 0.332 0.232 0.495
S27 0.332 0.505 0.738

* space-group type: P321
* E above lowest polymorph: 43.4 meV per atom
* calculated formation energy: -11.1 eV/f.u.

(2)
DFT (PBE) results for crystalline Sr2NdSbO6 at its relaxed geometry.

Unit cell a=8.503 b=8.503 c=8.503 alpha=90.00 beta=90.00 gamma=90.00
Fractional positions:
Sr1 0.500 0.500 0.500
Sr2 0.000 0.000 0.000
Sr3 0.000 0.000 0.500
Sr4 0.000 0.500 0.000
Sr5 0.500 0.000 0.000
Sr6 0.500 0.500 0.000
Sr7 0.500 0.000 0.500
Sr8 0.000 0.500 0.500
Nd1 0.750 0.750 0.750
Nd2 0.750 0.250 0.250
Nd3 0.250 0.750 0.250
Nd4 0.250 0.250 0.750
Sb1 0.250 0.250 0.250
Sb2 0.250 0.750 0.750
Sb3 0.750 0.250 0.750
Sb4 0.750 0.750 0.250
O1 0.216 0.291 0.481
O2 0.216 0.709 0.519
O3 0.784 0.291 0.519
O4 0.784 0.709 0.481
O5 0.291 0.481 0.216
O6 0.709 0.519 0.216
O7 0.291 0.519 0.784
O8 0.709 0.481 0.784
O9 0.481 0.216 0.291
O10 0.519 0.216 0.709
O11 0.519 0.784 0.291
O12 0.481 0.784 0.709
O13 0.284 0.209 0.019
O14 0.284 0.791 0.981
O15 0.716 0.209 0.981
O16 0.716 0.791 0.019
O17 0.209 0.019 0.284
O18 0.791 0.981 0.284
O19 0.209 0.981 0.716
O20 0.791 0.019 0.716
O21 0.019 0.284 0.209
O22 0.981 0.284 0.791
O23 0.981 0.716 0.209
O24 0.019 0.716 0.791

* space-group type: Pn-3
* calculated formation energy: -30.0 eV/f.u.

(3)
DFT (PBE) results for crystalline SiO2 at its relaxed geometry.

Unit cell a=8.195 b=8.195 c=14.169 alpha=90.00 beta=90.00 gamma=101.97
Fractional positions:
Si1 0.187 0.589 0.317
Si2 0.589 0.187 0.683
Si3 0.813 0.411 0.317
Si4 0.411 0.813 0.683
Si5 0.313 0.909 0.185
Si6 0.909 0.313 0.815
Si7 0.687 0.091 0.185
Si8 0.091 0.687 0.815
Si9 0.337 0.663 0.500
Si10 0.663 0.337 0.500
Si11 0.500 0.500 0.364
Si12 0.500 0.500 0.636
Si13 0.000 0.000 0.139
Si14 0.000 0.000 0.861
Si15 0.161 0.839 0.000
Si16 0.839 0.161 0.000
O1 0.000 0.500 0.284
O2 0.500 0.000 0.716
O3 0.253 0.748 0.250
O4 0.748 0.253 0.750
O5 0.747 0.252 0.250
O6 0.252 0.747 0.750
O7 0.177 0.643 0.429
O8 0.643 0.177 0.571
O9 0.823 0.357 0.429
O10 0.357 0.823 0.571
O11 0.323 0.467 0.306
O12 0.467 0.323 0.694
O13 0.677 0.533 0.306
O14 0.533 0.677 0.694
O15 0.320 0.859 0.072
O16 0.859 0.320 0.928
O17 0.680 0.141 0.072
O18 0.141 0.680 0.928
O19 0.175 0.028 0.199
O20 0.028 0.175 0.801
O21 0.825 0.972 0.199
O22 0.972 0.825 0.801
O23 0.499 0.668 0.429
O24 0.668 0.499 0.571
O25 0.501 0.332 0.429
O26 0.332 0.501 0.571
O27 0.500 0.000 0.217
O28 0.000 0.500 0.783
O29 0.000 0.166 0.072
O30 0.166 0.000 0.928
O31 0.000 0.834 0.072
O32 0.834 0.000 0.928

* space-group type: C222
* calculated formation energy: -9.5 eV/f.u.

(4)
DFT (PBE) results for crystalline Y2CN2O2 at its relaxed geometry.

Unit cell a=3.745 b=3.745 c=8.228 alpha=90.00 beta=90.00 gamma=120.00
Fractional positions:
Y1 0.333 0.667 0.678
Y2 0.667 0.333 0.322
C1 0.000 0.000 0.000
N1 0.000 0.000 0.150
N2 0.000 0.000 0.850
O1 0.333 0.667 0.396
O2 0.667 0.333 0.604

* space-group type: P-3m1
* calculated formation energy: -16.5 eV/f.u.

(5)